**Brief:**
What is needed: find the line further down that holds "Position (°2θ)", then set down that line and all lines after it there.

**File:**
+++
Theoretical X-ray powder pattern of Na2GdMnAs2O9 for λ = 1.5418 Å (Cu Kα), from a structure optimized by DFT (GGA+U).

Atomic structure:
abc: 5.9063 15.0719 10.5581
angles: 90.00 120.89 90.00
Fractional coordinates of all 60 atoms:
1 Na 0.0835 0.1359 0.3169
2 Na 0.0835 0.3641 0.8169
3 Na 0.3655 0.2306 0.0966
4 Na 0.3655 0.2694 0.5966
5 Na 0.6345 0.7306 0.4034
6 Na 0.6345 0.7694 0.9034
7 Na 0.9165 0.6359 0.1831
8 Na 0.9165 0.8641 0.6831
9 Gd 0.0143 0.1189 0.7141
10 Gd 0.0143 0.3811 0.2141
11 Gd 0.9857 0.6189 0.7859
12 Gd 0.9857 0.8811 0.2859
13 Mn 0.0000 0.0000 0.0000
14 Mn 0.0000 0.5000 0.5000
15 Mn 0.5000 0.0000 0.0000
16 Mn 0.5000 0.5000 0.5000
17 As 0.2828 0.7035 0.5685
18 As 0.2828 0.7965 0.0685
19 As 0.4129 0.0037 0.6506
20 As 0.4129 0.4963 0.1506
21 As 0.5871 0.5037 0.8494
22 As 0.5871 0.9963 0.3494
23 As 0.7172 0.2035 0.9315
24 As 0.7172 0.2965 0.4315
25 O 0.0424 0.7476 0.4056
26 O 0.0424 0.7524 0.9056
27 O 0.2033 0.7205 0.7019
28 O 0.2033 0.7795 0.2019
29 O 0.2236 0.0791 0.9707
30 O 0.2236 0.4209 0.4707
31 O 0.2443 0.9998 0.2493
32 O 0.2443 0.5002 0.7493
33 O 0.2556 0.5916 0.5160
34 O 0.2556 0.9084 0.0160
35 O 0.2791 0.1075 0.5899
36 O 0.2791 0.3925 0.0899
37 O 0.2832 0.5193 0.2647
38 O 0.2832 0.9807 0.7647
39 O 0.3098 0.5759 0.0185
40 O 0.3098 0.9241 0.5185
41 O 0.3973 0.2309 0.8719
42 O 0.3973 0.2691 0.3719
43 O 0.6027 0.7309 0.6281
44 O 0.6027 0.7691 0.1281
45 O 0.6902 0.0759 0.4815
46 O 0.6902 0.4241 0.9815
47 O 0.7168 0.0193 0.2353
48 O 0.7168 0.4807 0.7353
49 O 0.7209 0.6075 0.9101
50 O 0.7209 0.8925 0.4101
51 O 0.7444 0.0916 0.9840
52 O 0.7444 0.4084 0.4840
53 O 0.7557 0.0002 0.7507
54 O 0.7557 0.4998 0.2507
55 O 0.7764 0.5791 0.5293
56 O 0.7764 0.9209 0.0293
57 O 0.7967 0.2205 0.7981
58 O 0.7967 0.2795 0.2981
59 O 0.9576 0.2476 0.0944
60 O 0.9576 0.2524 0.5944

Peak list (10 most intense, 2θ from 15° to 90°, by intensity)
Position (°2θ)  I (rel.)  index
15.29  100  0 2 1
30.08  55  1 4 -2
29.54  49  1 4 0
30.18  39  0 1 3
26.90  30  1 2 1
31.12  29  1 3 -3
30.31  25  2 0 -2
19.31  23  1 1 -2
30.88  23  0 4 2
32.58  22  1 0 2

~~~~~

[1]
Calculated powder XRD pattern
Compound: KHgAu2F8
Radiation: Cu Kα (weighted mean of Kα1 and Kα2)
Structure: a crystal structure in Alexandria, relaxed with GGA-PBE

Largest 8 diffraction maxima, in order of rising 2θ, 2θ = 15–90°:
16.77°, rel. 233, (1 0 1); 26.52°, rel. 1000, (1 1 2); 29.52°, rel. 331, (2 0 0); 33.00°, rel. 250, (0 0 4); 42.24°, rel. 176, (2 2 0); 44.86°, rel. 222, (2 0 4); 50.57°, rel. 458, (1 3 2); 54.62°, rel. 164, (2 2 4)

Structural model:
a b c (Å): 6.052 6.052 10.858
angles (deg): 90.00 90.00 90.00
Space group I-4 (No. 82)
Unique sites:
K1 0.000 0.000 0.000 [2 per cell]
Hg1 0.000 0.500 0.250 [2 per cell]
Au1 0.000 0.000 0.500 [2 per cell]
Au2 0.000 0.500 0.750 [2 per cell]
F1 0.098 0.309 0.494 [8 per cell]
F2 0.181 0.799 0.761 [8 per cell]

[2]
Calculated powder XRD pattern
Compound: NaHgAuF6
Radiation: Cu Kα (weighted mean of Kα1 and Kα2)
Structure: a crystal structure in Alexandria, relaxed with GGA-PBE

Largest 8 diffraction maxima, in order of rising 2θ, 2θ = 15–90°:
17.02°, rel. 656, (1 0 0); 19.40°, rel. 745, (0 0 1); 25.92°, rel. 779, (1 0 1); 29.70°, rel. 725, (1 1 0); 35.73°, rel. 1000, (2 -1 1); 50.10°, rel. 594, (2 -1 2); 52.71°, rel. 307, (3 0 0); 56.70°, rel. 271, (3 0 1)

Structural model:
a b c (Å): 6.0154 6.0154 4.5746
angles (deg): 90.00 90.00 120.00
Space group P312 (No. 149)
Unique sites:
Na1 0.0000 0.0000 0.0000 [1 per cell]
Hg1 0.3333 0.6667 0.5000 [1 per cell]
Au1 0.6667 0.3333 0.5000 [1 per cell]
F1 0.3562 0.0224 0.7369 [6 per cell]

[3]
Calculated powder XRD pattern
Compound: RbHg2AuF8
Radiation: Cu Kα (weighted mean of Kα1 and Kα2)
Structure: a crystal structure in Alexandria, relaxed with GGA-PBE

Largest 8 diffraction maxima, in order of rising 2θ, 2θ = 15–90°:
+++

**Completed:**
Position (°2θ)  I (rel.)  index
15.29  100  0 2 1
30.08  55  1 4 -2
29.54  49  1 4 0
30.18  39  0 1 3
26.90  30  1 2 1
31.12  29  1 3 -3
30.31  25  2 0 -2
19.31  23  1 1 -2
30.88  23  0 4 2
32.58  22  1 0 2

~~~~~

[1]
Calculated powder XRD pattern
Compound: KHgAu2F8
Radiation: Cu Kα (weighted mean of Kα1 and Kα2)
Structure: a crystal structure in Alexandria, relaxed with GGA-PBE

Largest 8 diffraction maxima, in order of rising 2θ, 2θ = 15–90°:
16.77°, rel. 233, (1 0 1); 26.52°, rel. 1000, (1 1 2); 29.52°, rel. 331, (2 0 0); 33.00°, rel. 250, (0 0 4); 42.24°, rel. 176, (2 2 0); 44.86°, rel. 222, (2 0 4); 50.57°, rel. 458, (1 3 2); 54.62°, rel. 164, (2 2 4)

Structural model:
a b c (Å): 6.052 6.052 10.858
angles (deg): 90.00 90.00 90.00
Space group I-4 (No. 82)
Unique sites:
K1 0.000 0.000 0.000 [2 per cell]
Hg1 0.000 0.500 0.250 [2 per cell]
Au1 0.000 0.000 0.500 [2 per cell]
Au2 0.000 0.500 0.750 [2 per cell]
F1 0.098 0.309 0.494 [8 per cell]
F2 0.181 0.799 0.761 [8 per cell]

[2]
Calculated powder XRD pattern
Compound: NaHgAuF6
Radiation: Cu Kα (weighted mean of Kα1 and Kα2)
Structure: a crystal structure in Alexandria, relaxed with GGA-PBE

Largest 8 diffraction maxima, in order of rising 2θ, 2θ = 15–90°:
17.02°, rel. 656, (1 0 0); 19.40°, rel. 745, (0 0 1); 25.92°, rel. 779, (1 0 1); 29.70°, rel. 725, (1 1 0); 35.73°, rel. 1000, (2 -1 1); 50.10°, rel. 594, (2 -1 2); 52.71°, rel. 307, (3 0 0); 56.70°, rel. 271, (3 0 1)

Structural model:
a b c (Å): 6.0154 6.0154 4.5746
angles (deg): 90.00 90.00 120.00
Space group P312 (No. 149)
Unique sites:
Na1 0.0000 0.0000 0.0000 [1 per cell]
Hg1 0.3333 0.6667 0.5000 [1 per cell]
Au1 0.6667 0.3333 0.5000 [1 per cell]
F1 0.3562 0.0224 0.7369 [6 per cell]

[3]
Calculated powder XRD pattern
Compound: RbHg2AuF8
Radiation: Cu Kα (weighted mean of Kα1 and Kα2)
Structure: a crystal structure in Alexandria, relaxed with GGA-PBE

Largest 8 diffraction maxima, in order of rising 2θ, 2θ = 15–90°: